Gambling licenses


Running and organising non-occasional gambling activities requires a general licence for that particular game, whether it be a bet, contest or other game. Lottery games are not included, since state-wide lottery games, pursuant to law, are exclusive to the operators Sociedad Estatal de Loterías y Apuestas del Estado (S.M.E.) and Organización Nacional de Ciegos Españoles (ONCE).

As well as the general licence, operators are required to obtain a special licence for the particular type of game they wish to organise, market or run. Therefore:


General licences: enable the holder to run bets, contests and other gambling activities. The DGOJ provides the licence following a timely call for applications guided by the principles of advertising, competition, transparency, equality, objectivity and non-discrimination as laid down in the rules for applying, published in the Official State Gazette. The procedure can also be opened at the request of the interested party. In such case, the DGOJ has 6 months to begin the procedure, unless it decides not to for reasons of general interest.

Licences are valid for 10 years, extendable for another 10.


Special licences: enable the holder to run all the types of regulated games included in a general licence; therefore, only operators with a general licence may request a corresponding special licence. The DGOJ is in charge of granting said licences, in accordance with the regulations for this purpose.

They have a minimum duration of one year and a maximum duration of five, which may be extended for successive periods of the same duration. Loss of the general licence results in the loss of the single licences linked to it.



There is usually no limit to the number of licences that can be granted. The procedure for granting licences aims to verify applicants' compliance with the requirements set in current legislation and in the terms of the call. These are namely requirements of a legal, economic, and financial nature, software security and reliability requirements, and anti-fraud and anti-money laundering requirements, in the spirit of the licence granting model laid down in the law and its implementing regulations.


  1. Legal requirements:
    1. Public limited company or limited liability company form, with company address in a European Economic Area member state.
    2. Having a sole corporate purpose to organise, market and operate gambling activities.
    3. A minimum total and paid-up share capital of €100,000 to request a general licence for bets and other games, or €60,000 to request only a general licence for contests.
    4. Registration in the Spanish Commercial Register. Foreign companies must register in an equivalent registry, provided state legislation in the company's legal seat requires it.
    5. Registration in the special applicants' section of the General Registry of Gambling Licences.
    6. Not meeting any of the cases foreseen in Article 13.2 of the Gambling Act, Law 13/2011 of 27 May.

  2. Economic requirements:
    1. Suitable statements issued by financial entities on the company's solvency;
    2. Annual accounts presented at the Commercial Registry or corresponding official registry.
    3. Statement on the company's overall turnover for the last three financial years.
    4. Description and source of own and third-party financial resources.

      This does not affect the fact that the DGOJ may, for justified reasons, allow the applicant to certify his or her economic and financial solvency using any other document it deems suitable.

  3. Technical requirements
    1. Statement indicating the technical staff structure.
    2. Professional experience of the managers of the entity in charge of running the gambling activities for which a licence is sought.
    3. Statement on the average annual staff of the entity in the last three years.
    4. Statement indicating the technical systems available for running the gambling activities for which a licence is sought.
    5. Description of the facilities or technical units, the measures used to guarantee quality and safety and, where applicable, the company's means for study and research.



In accordance with the requirements that must be met by entities applying for a gambling licence, a series of rights and obligations have been laid down for such entities once they have obtained a licence. Their rights are basically to run their state-wide gambling activity in accordance with the granted licences.

Their obligations can be grouped into financial, technical and responsible gambling management duties.

'''
# 1
Molecular formula: C6H10N2O
Method: DFT, ωB97M-V with the def2-TZVPD basis set

The HOMO energy comes out at -8.28 eV. The orbital gap comes out at 8.81 eV. Its total energy is -419.25437 a.u. Its multiplicity is 1. For the relative energy (zero: lowest compared OMol25 entry of this formula, charge and spin), the calculation gives 3.5954 eV.

CARTESIAN COORDINATES (ANGSTROEM)
C: 2.61 -0.04 -0.13
C: 1.17 -0.77 -0.09
C: 0.22 -0.52 1.00
C: -0.28 1.57 -0.04
C: -0.07 -0.52 -1.01
C: -0.96 -0.97 0.09
H: 3.18 -0.55 0.69
H: 3.10 -0.14 -1.07
H: 2.49 0.99 -0.07
H: 1.25 -1.95 0.13
H: 0.22 -1.00 1.95
H: -0.53 1.29 1.92
H: -0.53 2.65 0.06
H: -0.15 -0.90 -1.99
H: -0.95 -2.02 0.25
H: -2.85 -0.66 0.73
N: -0.11 0.87 1.14
N: -0.37 0.99 -1.15
O: -2.26 -0.41 -0.18

***

# 2
Molecular formula: C6H10N2O2
Method: DFT, ωB97M-V with the def2-TZVPD basis set

The HOMO energy comes out at -9.09 eV. The orbital gap comes out at 9.50 eV. Its total energy is -494.54492 a.u. Its SMILES is CNC1=CC(=O)N2C[C@@H]12.O. Its multiplicity is 1. For the relative energy (zero: lowest compared OMol25 entry of this formula, charge and spin), the calculation gives 2.6885 eV.

CARTESIAN COORDINATES (ANGSTROEM)
C: -1.11 1.72 -0.76
N: -2.40 1.08 -0.50
C: -3.56 1.83 -0.46
C: -3.69 3.19 -0.72
C: -5.03 3.47 -1.15
O: -5.53 4.52 -1.52
N: -5.79 2.24 -1.16
C: -5.36 1.32 -2.22
C: -4.86 1.18 -0.83
H: -0.37 0.94 -0.96
H: -1.18 2.40 -1.62
H: -0.81 2.28 0.13
H: -2.50 0.15 -0.89
H: -2.91 3.95 -0.64
H: -6.12 0.62 -2.58
H: -4.68 1.71 -2.98
H: -5.22 0.36 -0.20
O: -3.36 1.12 2.10
H: -2.54 0.80 1.43
H: -3.24 2.05 2.33

***

# 3
Molecular formula: C6H10N2O2
Method: DFT, ωB97M-V with the def2-TZVPD basis set

The HOMO energy (spin up / spin down) comes out at -5.84 / -7.99 eV. The orbital gap (spin up / spin down) comes out at 6.61 / 4.76 eV. Its total energy is -494.35916 a.u. Its multiplicity is 3. For the relative energy (zero: lowest compared OMol25 entry of this formula, charge and spin), the calculation gives 2.0187 eV.

CARTESIAN COORDINATES (ANGSTROEM)
C: 3.16 -0.81 0.59
C: 2.25 0.01 1.25
C: 2.04 0.11 -0.95
C: -3.05 -1.15 -0.42
C: -1.90 -0.19 -0.84
C: 0.36 1.40 0.28
N: 3.05 -0.62 -0.74
N: 1.37 0.49 0.25
O: 0.20 2.10 1.31
O: -1.44 0.41 0.32
H: 4.09 -1.32 0.96
H: 2.00 -0.03 2.22
H: 1.75 0.50 -1.83
H: -2.80 -1.72 0.59
H: -3.94 -0.53 -0.16
H: -3.30 -1.97 -1.16
H: -2.36 0.48 -1.62
H: -1.01 -0.80 -1.22
H: 0.12 1.76 -0.65
H: -0.57 1.87 1.83

***

# 4
Molecular formula: C6H10N2O3S
Method: DFT, ωB97M-V with the def2-TZVPD basis set

The HOMO energy (spin up / spin down) comes out at -7.28 / -7.28 eV. The orbital gap (spin up / spin down) comes out at 7.88 / 7.88 eV. Its total energy is -967.92853 a.u. Its multiplicity is 1. For the relative energy (zero: lowest compared OMol25 entry of this formula, charge and spin), the calculation gives 2.6649 eV.

CARTESIAN COORDINATES (ANGSTROEM)
C: 2.74 -0.56 -1.09
C: 1.01 1.87 -0.15
C: 3.47 -0.27 0.19
C: 0.99 -0.30 0.22
C: -1.29 -0.23 -0.57
C: -2.55 0.38 0.08
'''


Financial obligations:

  • Meeting the fees related to the regulated gambling activity.


Technical obligations:

  • Creating a specific website under a '.es' domain
  • Redirecting to the specific website under '.es' domain any users who connect in Spanish territory or using a Spanish account to a domain other than '.es' owned or controlled by the gambling operator, its parent company or subsidiary.
  • Approving the technical systems
  • Identifying participants
  • Monitoring subjective bans on participating (checking the RGIAJ)
  • Randomness of the random number generators used
  • Security requirements of the technical gambling systems
  • Ensuring gambling operations are traceable and registered
  • Implementing an internal monitoring system to capture and register gambling operations and financial transactions. Said system must store data in Spanish territory.
  • If necessary, allowing inspectors to connect to the system, without prejudice to the possibility of carrying out inspections in person.


Obligations under responsible gambling management:

  • Ensuring the integrity and safety of games, guaranteeing participation, transparency of draws and events, calculation of prize payments and a professional and diligent use of funds.
  • Adequately channelling the demand for participation.
  • Reducing any risk of potential damage to society. This includes fighting against illegal gambling and related criminal activities.
  • Collaborating actively with the authorities responsible for preventing money laundering, in accordance with current legislation.



The licensing procedure ends with the Directorate General for Gambling Regulation issuing a Resolution within 6 months from the time the request was filed, without prejudice to an extension for a period of time equal to the time spent by the applicant to meet the requirements of the Directorate during said term. This Resolution must be notified to the applicant within ten days of its adoption and will be published in the website of the Directorate General for Gambling Regulation. If such period expires without an express Resolution on the application having been delivered and notified, it will be deemed accepted due to administrative silence.

In any case, the granting of a licence is conditional upon obtaining permanent approval of the technical gambling systems, which must be granted within 6 months following the date of notification of the corresponding granted licence.



59 companies took part in the call for gambling licences requesting 98 general licences and 202 special licences, a total of 300 licences (Order EHA/ 3124/2011 to approve the rules of the call for general gambling licences for running bets, contests and other games, published in the Official State Gazette (BOE) on 18 November 2011, and Resolution of the General Directorate of Gambling Regulation issued on 16 November 2011 setting the procedure for applying and granting special licences).

In this call, 93 general licences were granted for running bets, contests and other games, and 189 special licences were granted for the corresponding types of games. This totals 282 licences granted to 55 licensee entities, of the initial 59 entities that requested a licence.

It must be noted that any interested party may request a new call for gambling licences at least 18 months after the last call for the same type of game took place.